Work order:
Retype everything underneath verbatim.

Excerpt:
- - -
[1]
An isolated ion of composition C4H8O2 and charge -2 in a non-equilibrium geometry. Source: OMol25; level of theory: wB97M-V/def2-TZVPD.

Values from the calculation:
HOMO, eV: 0.90
SMILES: [O-]CCCC[O-]
HOMO-LUMO gap, eV: 6.59
Largest force on an atom, eV Å⁻¹: 2.113
ΔE to the lowest compared entry with this formula, charge and spin, kcal/mol: 14.40
Charge: -2

Cartesian coordinates (Å):
O  -0.848  -1.743  2.490
C  -0.018  -1.052  1.677
C  -0.634  -0.103  0.552
C  0.302  0.706  -0.301
C  0.187  0.670  -1.910
O  0.218  1.880  -2.456
H  0.669  -0.387  2.221
H  0.671  -1.773  1.154
H  -1.357  0.502  1.110
H  -1.293  -0.707  -0.117
H  0.398  1.789  -0.102
H  1.315  0.329  -0.012
H  -0.654  -0.122  -2.013
H  1.042  0.012  -2.293


[2]
A 2-piece molecular cluster, C4H8O2 overall in a non-equilibrium geometry. Source: OMol25; level of theory: wB97M-V/def2-TZVPD.

Values from the calculation:
HOMO, eV: -7.69
SMILES: C=C/C=C\O.O
HOMO-LUMO gap, eV: 8.12
Largest force on an atom, eV Å⁻¹: 5.882
ΔE to the lowest compared entry with this formula, charge and spin, kcal/mol: 113.36

Cartesian coordinates (Å):
C  -1.376  2.055  -0.042
C  -0.588  1.326  -0.859
C  -0.030  0.220  -0.299
C  -0.326  -0.940  -0.974
O  -1.583  -0.894  -1.557
H  -1.583  3.072  0.071
H  -2.058  1.468  0.745
H  -0.753  1.424  -1.909
H  0.554  0.219  0.586
H  0.315  -1.781  -0.917
H  -1.786  -1.790  -1.777
O  3.043  -1.209  2.597
H  3.474  -1.085  1.771
H  2.698  -2.087  2.566


[3]
A 3-piece molecular cluster, C4H8O2 overall. Source: OMol25; level of theory: wB97M-V/def2-TZVPD.

Values from the calculation:
HOMO, eV: -9.01
SMILES: OC1=CC1.[H][H].C=O
HOMO-LUMO gap, eV: 9.60
Largest force on an atom, eV Å⁻¹: 0.563
ΔE to the lowest compared entry with this formula, charge and spin, kcal/mol: 120.86

Cartesian coordinates (Å):
O  1.187  -2.012  0.172
C  1.215  -0.672  0.129
C  1.327  0.398  -0.583
C  1.074  0.581  0.913
H  1.133  -2.281  1.098
H  1.467  0.925  -1.511
H  1.889  0.917  1.563
H  0.083  0.905  1.254
H  -1.324  1.959  -1.002
H  -0.784  2.306  -1.379
C  -1.814  -0.761  -0.168
O  -2.309  0.243  0.279
H  -1.643  -0.910  -1.250
H  -1.501  -1.598  0.485


[4]
A single C4H8O2 molecule. Source: OMol25; level of theory: wB97M-V/def2-TZVPD.

Values from the calculation:
HOMO, eV: -8.73
HOMO-LUMO gap, eV: 8.67
Largest force on an atom, eV Å⁻¹: 0.413
ΔE to the lowest compared entry with this formula, charge and spin, kcal/mol: 104.22

Cartesian coordinates (Å):
C  1.778  0.619  -0.410
C  0.850  -0.514  -0.391
O  -0.633  -0.599  1.763
C  -1.318  -0.854  0.542
C  -0.576  -0.147  -0.600
O  -0.942  1.225  -0.680
H  1.374  1.611  -0.169
H  2.729  0.419  0.093
H  2.006  0.638  -1.496
H  0.205  -1.092  1.726
H  -2.320  -0.425  0.654
H  -1.420  -1.925  0.331
H  -0.853  -0.601  -1.566
H  -0.956  1.560  0.229


[5]
A single C4H8O2 molecule in a non-equilibrium geometry. Source: OMol25; level of theory: wB97M-V/def2-TZVPD.

Values from the calculation:
HOMO, eV: -9.85
SMILES: CO[C@H](C)C=O
HOMO-LUMO gap, eV: 10.66
Largest force on an atom, eV Å⁻¹: 2.350
ΔE to the lowest compared entry with this formula, charge and spin, kcal/mol: 64.92

Cartesian coordinates (Å):
C  0.697  1.477  0.024
O  -0.393  0.984  0.804
C  -0.783  -0.257  0.231
C  -0.089  -1.433  0.883
C  -0.390  -0.059  -1.238
O  0.465  -0.676  -1.841
H  1.628  1.437  0.566
H  0.441  2.480  -0.328
H  0.991  0.792  -0.827
H  -1.876  -0.351  0.300
H  0.997  -1.314  0.832
H  -0.387  -1.515  1.932
H  -0.353  -2.356  0.361
H  -0.946  0.789  -1.698


[6]
A single C4H8O2 molecule in a non-equilibrium geometry. Source: OMol25; level of theory: wB97M-V/def2-TZVPD.

Values from the calculation:
HOMO, eV: -9.15
SMILES: C=COCOC
HOMO-LUMO gap, eV: 10.17
Largest force on an atom, eV Å⁻¹: 4.326
ΔE to the lowest compared entry with this formula, charge and spin, kcal/mol: 78.92

Cartesian coordinates (Å):
C  1.556  1.081  0.153
C  1.996  -0.091  -0.333
O  1.183  -1.240  -0.218
C  -0.014  -1.020  0.316
O  -0.716  -0.161  -0.487
- - -

Outcome:
[1]
An isolated ion of composition C4H8O2 and charge -2 in a non-equilibrium geometry. Source: OMol25; level of theory: wB97M-V/def2-TZVPD.

Values from the calculation:
HOMO, eV: 0.90
SMILES: [O-]CCCC[O-]
HOMO-LUMO gap, eV: 6.59
Largest force on an atom, eV Å⁻¹: 2.113
ΔE to the lowest compared entry with this formula, charge and spin, kcal/mol: 14.40
Charge: -2

Cartesian coordinates (Å):
O  -0.848  -1.743  2.490
C  -0.018  -1.052  1.677
C  -0.634  -0.103  0.552
C  0.302  0.706  -0.301
C  0.187  0.670  -1.910
O  0.218  1.880  -2.456
H  0.669  -0.387  2.221
H  0.671  -1.773  1.154
H  -1.357  0.502  1.110
H  -1.293  -0.707  -0.117
H  0.398  1.789  -0.102
H  1.315  0.329  -0.012
H  -0.654  -0.122  -2.013
H  1.042  0.012  -2.293


[2]
A 2-piece molecular cluster, C4H8O2 overall in a non-equilibrium geometry. Source: OMol25; level of theory: wB97M-V/def2-TZVPD.

Values from the calculation:
HOMO, eV: -7.69
SMILES: C=C/C=C\O.O
HOMO-LUMO gap, eV: 8.12
Largest force on an atom, eV Å⁻¹: 5.882
ΔE to the lowest compared entry with this formula, charge and spin, kcal/mol: 113.36

Cartesian coordinates (Å):
C  -1.376  2.055  -0.042
C  -0.588  1.326  -0.859
C  -0.030  0.220  -0.299
C  -0.326  -0.940  -0.974
O  -1.583  -0.894  -1.557
H  -1.583  3.072  0.071
H  -2.058  1.468  0.745
H  -0.753  1.424  -1.909
H  0.554  0.219  0.586
H  0.315  -1.781  -0.917
H  -1.786  -1.790  -1.777
O  3.043  -1.209  2.597
H  3.474  -1.085  1.771
H  2.698  -2.087  2.566


[3]
A 3-piece molecular cluster, C4H8O2 overall. Source: OMol25; level of theory: wB97M-V/def2-TZVPD.

Values from the calculation:
HOMO, eV: -9.01
SMILES: OC1=CC1.[H][H].C=O
HOMO-LUMO gap, eV: 9.60
Largest force on an atom, eV Å⁻¹: 0.563
ΔE to the lowest compared entry with this formula, charge and spin, kcal/mol: 120.86

Cartesian coordinates (Å):
O  1.187  -2.012  0.172
C  1.215  -0.672  0.129
C  1.327  0.398  -0.583
C  1.074  0.581  0.913
H  1.133  -2.281  1.098
H  1.467  0.925  -1.511
H  1.889  0.917  1.563
H  0.083  0.905  1.254
H  -1.324  1.959  -1.002
H  -0.784  2.306  -1.379
C  -1.814  -0.761  -0.168
O  -2.309  0.243  0.279
H  -1.643  -0.910  -1.250
H  -1.501  -1.598  0.485


[4]
A single C4H8O2 molecule. Source: OMol25; level of theory: wB97M-V/def2-TZVPD.

Values from the calculation:
HOMO, eV: -8.73
HOMO-LUMO gap, eV: 8.67
Largest force on an atom, eV Å⁻¹: 0.413
ΔE to the lowest compared entry with this formula, charge and spin, kcal/mol: 104.22

Cartesian coordinates (Å):
C  1.778  0.619  -0.410
C  0.850  -0.514  -0.391
O  -0.633  -0.599  1.763
C  -1.318  -0.854  0.542
C  -0.576  -0.147  -0.600
O  -0.942  1.225  -0.680
H  1.374  1.611  -0.169
H  2.729  0.419  0.093
H  2.006  0.638  -1.496
H  0.205  -1.092  1.726
H  -2.320  -0.425  0.654
H  -1.420  -1.925  0.331
H  -0.853  -0.601  -1.566
H  -0.956  1.560  0.229


[5]
A single C4H8O2 molecule in a non-equilibrium geometry. Source: OMol25; level of theory: wB97M-V/def2-TZVPD.

Values from the calculation:
HOMO, eV: -9.85
SMILES: CO[C@H](C)C=O
HOMO-LUMO gap, eV: 10.66
Largest force on an atom, eV Å⁻¹: 2.350
ΔE to the lowest compared entry with this formula, charge and spin, kcal/mol: 64.92

Cartesian coordinates (Å):
C  0.697  1.477  0.024
O  -0.393  0.984  0.804
C  -0.783  -0.257  0.231
C  -0.089  -1.433  0.883
C  -0.390  -0.059  -1.238
O  0.465  -0.676  -1.841
H  1.628  1.437  0.566
H  0.441  2.480  -0.328
H  0.991  0.792  -0.827
H  -1.876  -0.351  0.300
H  0.997  -1.314  0.832
H  -0.387  -1.515  1.932
H  -0.353  -2.356  0.361
H  -0.946  0.789  -1.698


[6]
A single C4H8O2 molecule in a non-equilibrium geometry. Source: OMol25; level of theory: wB97M-V/def2-TZVPD.

Values from the calculation:
HOMO, eV: -9.15
SMILES: C=COCOC
HOMO-LUMO gap, eV: 10.17
Largest force on an atom, eV Å⁻¹: 4.326
ΔE to the lowest compared entry with this formula, charge and spin, kcal/mol: 78.92

Cartesian coordinates (Å):
C  1.556  1.081  0.153
C  1.996  -0.091  -0.333
O  1.183  -1.240  -0.218
C  -0.014  -1.020  0.316
O  -0.716  -0.161  -0.487